Nature as a stakeholder in a farm business
Hosted by the Nature Friendly Farming Network
Inserted here: calculated crystals:
Density functional theory data (PBE) for an optimized crystal structure of NaGePCO7.

Geometry as POSCAR:
```
NaGePCO7
1.0
5.1305 0.0000 0.0000
0.0000 6.3208 0.0000
-0.4197 0.0000 8.9744
Na Ge P C O
2 2 2 2 14
direct
0.2376 0.0000 0.2750
0.7624 0.5000 0.7250
0.2166 0.2128 0.8390
0.7834 0.7128 0.1610
0.2729 0.7223 0.9352
0.7271 0.2223 0.0648
0.2757 0.2337 0.5799
0.7243 0.7337 0.4201
0.0451 0.2285 0.6443
0.1182 0.7306 0.0793
0.2024 0.5277 0.8388
0.2129 0.9146 0.8344
0.3100 0.2369 0.4456
0.4278 0.2143 0.0185
0.4682 0.2329 0.6887
0.5318 0.7329 0.3113
0.5722 0.7143 0.9815
0.6900 0.7369 0.5544
0.7871 0.4146 0.1656
0.7976 0.0277 0.1612
0.8818 0.2306 0.9207
0.9549 0.7285 0.3557
```

## Properties
ΔH_f (0 K) in kJ/mol of formula units: -2346.8
Density in kg/m3: 2860

***

Density functional theory data (PBE) for an optimized crystal structure of Cs2TeBr6.

Geometry as POSCAR:
```
Cs2TeBr6
1.0
0.0000 5.6293 5.6293
5.6293 0.0000 5.6293
5.6293 5.6293 0.0000
Cs Te Br
2 1 6
direct
0.2500 0.2500 0.2500
0.7500 0.7500 0.7500
0.0000 0.0000 0.0000
0.2438 0.2438 0.7562
0.2438 0.7562 0.2438
0.2438 0.7562 0.7562
0.7562 0.2438 0.2438
0.7562 0.2438 0.7562
0.7562 0.7562 0.2438
```

## Properties
ΔH_f (0 K) in kJ/mol of formula units: -1265.5
Density in kg/m3: 4062


Record 1
Density functional theory data (PBE with a Hubbard U) for a relaxed structure of La2CoIrO6.

**Formation energy**: -2533 meV per atom
**Spin magnetization**: 7.88 μB per cell
**Mass density**: 8.465 g cm⁻³
**DFT total energy**: -75.08 eV per formula unit
**Symmetry**: P2_1/c, No. 14
**Volume**: 122.6 Å³/f.u.

Cell: 5.5145 5.6641 9.5830 Å, 90.00 125.00 90.00°
With the nearest neighbours (Å) after each atom.
Positions (direct):
La1 0.2368 0.0568 0.2494  6 O 2.37-2.63
La2 0.2368 0.4432 0.7494  6 O 2.37-2.63
La3 0.7632 0.5568 0.2506  6 O 2.37-2.63
La4 0.7632 0.9432 0.7506  6 O 2.37-2.63
Co1 0.0000 0.0000 0.5000  6 O 1.97-2.00
Co2 0.0000 0.5000 0.0000  6 O 1.97-2.00
Ir1 0.5000 0.0000 0.0000  6 O 2.08-2.10
Ir2 0.5000 0.5000 0.5000  6 O 2.08-2.10
O1 0.1467 0.2093 0.9529  1 Co 2.00, 1 Ir 2.10
O2 0.1467 0.2907 0.4529  1 Co 2.00, 1 Ir 2.10
O3 0.2477 0.6975 0.9535  1 Co 2.00, 1 Ir 2.09
O4 0.2477 0.8025 0.4535  1 Co 2.00, 1 Ir 2.09
O5 0.3326 0.0188 0.7428  1 Co 1.97, 1 Ir 2.08
O6 0.3326 0.4812 0.2428  1 Co 1.97, 1 Ir 2.08
O7 0.6674 0.5188 0.7572  1 Co 1.97, 1 Ir 2.08
O8 0.6674 0.9812 0.2572  1 Co 1.97, 1 Ir 2.08
O9 0.7523 0.1975 0.5465  1 Co 2.00, 1 Ir 2.09
O10 0.7523 0.3025 0.0465  1 Co 2.00, 1 Ir 2.09
O11 0.8533 0.7093 0.5471  1 Co 2.00, 1 Ir 2.10
O12 0.8533 0.7907 0.0471  1 Co 2.00, 1 Ir 2.10

---

Record 2
Density functional theory data (PBE with a Hubbard U) for a relaxed structure of Mg2CoIrO6.

**Formation energy**: -1885 meV per atom
**Spin magnetization**: 3.64 μB per cell
**Mass density**: 6.733 g cm⁻³
**DFT total energy**: -61.92 eV per formula unit
**Symmetry**: P2_1/c, No. 14
**Volume**: 97.6 Å³/f.u.

Cell: 5.0390 5.2476 8.9302 Å, 90.00 124.24 90.00°
With the nearest neighbours (Å) after each atom.
So much for the calculated crystals:
As agricultural support changes, business management for land owners and land managers will be critical. That business management will also have to take into account that uniquely in agriculture, Nature is a stakeholder in the business; it provides a free-issue bounty for farmers, but it also demands care and attention.
Every farm has a distinctive MSO (maximum sustainable output). This is the point at which productive variable costs (PVCs) end and corrective variable costs (CVCs) start. At the MSO, not only is profitability maximised but the benefits arising from Nature’s bounty are maximised, too. Operating beyond the MSO point starts to decapitalise the natural assets of the business, through overstocking in livestock farming, reduced fertility (natural yields) in arable farming, and over-cropping in woodlands. Continuous activity beyond the MSO point will lead ultimately to sterility in the land.
The benefits arising from Nature’s bounty are typically quantified as a stream of income or a stream of avoided costs. The capitalisation of these streams will quantify Natural Capital. It is not a fixed value; it will change with time and with different farming practices. Quantified in a pragmatic business-oriented fashion, as above, Natural Capital could form a new basis for State Support Schemes for farming. Understanding the MSO phenomenon and its role in determining Natural Capital is now a pre-requisite for developing superior farm-business strategies.
Participants had the chance to both explore whether we should be putting a value on natural capital and an opportunity to discuss the principles of MSO, leverage strategies and the impact of natural capital considerations.
Chris Clark, with his wife Fiona, previously owned Nethergill Farm and developed Nethergill into an eco-hill farm business with a sustainable added-value meat activity, an educational and field study facility and eco-tourism holiday lets. He is a Partner in Nethergill Associates, a business management consultancy currently assisting with the conjecturing and management of future farming uncertainties nationally. A former farm tenant and farm manager, Chris now has thirty years of business management experience, of which over twenty years were managing his own farm-based businesses. He is currently a member of the North Yorkshire Rural Commission and a past member of the Yorkshire Dales National Park Authority
Colin Tudge is a biologist by education and a writer by trade. He worked for Farmers Weekly, New Scientist, and BBC Radio 3 before going freelance in about 1990, and is author of about 15 books on natural history, evolution, genetics, ecology – and, in particular, on nutrition, cooking, and agriculture. Around 2008, together with his wife Ruth (West) and help from good friends, he began the Campaign for Real Farming — which has given rise to the Oxford Real Farming Conference and the still peripatetic but ever-growing College for Real Farming and Food Culture. The aim is to help bring about a global, cross-the-board Renaissance – beginning with food and farming.
Helen Chessire – Woodland Trust – Senior Advisor (Farming) – Helen Chesshire is lead farming advocate at the Woodland Trust, responsible for working with both the farming sector and policy makers to promote the benefits of trees on farms. Otherwise known as agroforestry, the deliberate integration of trees within agricultural crops and livestock is a win –win for sustainable food production and the natural environment. The Woodland Trust can provide advice and support to farmers interested in agroforestry. Helen grew up on a diary and sheep farm in the Midlands.